Work order =
Next, print the entries further down word for word.
Input =
(1)
A plane-wave DFT calculation with GGA-PBE was carried out for RbHO after structural relaxation.

Cell: 4.268 4.221 5.992 Å, 90.00 106.58 90.00°
Space group P2_1 (No. 4)
Unique sites:
Rb1 0.162 0.000 0.284
H1 0.439 0.131 0.913
O1 0.342 0.986 0.782

## Properties
Uncorrected energy ... -13.17 eV per formula unit
Energy with MP2020 corrections ... -13.86 eV per formula unit
Piezoelectric modulus e_max ... 0.2 C/m2

***

(2)
A plane-wave DFT calculation with GGA-PBE was carried out for RbHO after structural relaxation.

Cell: 4.241 11.543 4.193 Å, 90.00 90.00 90.00°
Space group Cmc2_1 (No. 36)
Unique sites:
Rb1 0.000 0.142 0.000
H1 0.000 0.457 0.876
O1 0.000 0.390 0.018

## Properties
Uncorrected energy ... -13.17 eV per formula unit
Energy with MP2020 corrections ... -13.86 eV per formula unit
Piezoelectric modulus e_max ... 0.5 C/m2

***

(3)
A plane-wave DFT calculation with GGA-PBE was carried out for RbHO after structural relaxation.

Cell: 4.206 4.273 6.143 Å, 90.00 104.99 90.00°
Space group P2_1/m (No. 11)
Unique sites:
Rb1 0.170 0.250 0.288
H1 0.463 0.250 0.908
O1 0.322 0.250 0.755

## Properties
Uncorrected energy ... -13.15 eV per formula unit
Energy with MP2020 corrections ... -13.84 eV per formula unit

***

(4)
A plane-wave DFT calculation with GGA-PBE was carried out for RbH3S2O8 after structural relaxation.

Cell: 7.514 12.650 8.010 Å, 90.00 92.17 90.00°
Space group P2_1/c (No. 14)
Unique sites:
Rb1 0.215 0.067 0.158
H1 0.119 0.746 0.620
H2 0.331 0.544 0.109
H3 0.487 0.660 0.773
S1 0.238 0.111 0.668
S2 0.266 0.695 0.336
O1 0.098 0.073 0.770
O2 0.099 0.699 0.209
O3 0.192 0.653 0.489
O4 0.207 0.203 0.565
O5 0.296 0.022 0.542
O6 0.333 0.696 0.858
O7 0.398 0.624 0.263
O8 0.404 0.126 0.788

## Properties
Magnetic moment ... 0.000 μB per atom
Uncorrected energy ... -78.13 eV per formula unit
Energy with MP2020 corrections ... -83.63 eV per formula unit

***

(5)
A plane-wave DFT calculation with GGA-PBE was carried out for RbHS2O7 after structural relaxation.

Cell: 7.471 11.186 8.735 Å, 90.00 107.42 90.00°
Space group P2_1/c (No. 14)
Unique sites:
Rb1 0.156 0.201 0.033
H1 0.396 0.548 0.208
S1 0.182 0.557 0.891
S2 0.414 0.596 0.677
O1 0.023 0.625 0.795
O2 0.186 0.069 0.352
O3 0.235 0.586 0.062
O4 0.241 0.594 0.549
O5 0.375 0.619 0.846
O6 0.441 0.180 0.822
O7 0.490 0.034 0.191

## Properties
Magnetic moment ... 0.000 μB per atom
Uncorrected energy ... -63.01 eV per formula unit
Energy with MP2020 corrections ... -67.82 eV per formula unit

***

(6)
A plane-wave DFT calculation with GGA-PBE was carried out for Rb3HS2O8 after structural relaxation.

Cell: 15.524 6.011 10.330 Å, 90.00 102.49 90.00°
Space group C2/c (No. 15)
Unique sites:
Rb1 0.000 0.244 0.250
Rb2 0.190 0.223 0.652
H1 0.000 0.500 0.000
S1 0.115 0.283 0.965
O1 0.014 0.327 0.946
O2 0.125 0.072 0.897
O3 0.152 0.269 0.110
O4 0.153 0.475 0.905

## Properties
Magnetic moment ... 0.016 μB per atom
Uncorrected energy ... -78.26 eV per formula unit
Energy with MP2020 corrections ... -83.76 eV per formula unit

***

(7)
A plane-wave DFT calculation with GGA-PBE was carried out for Rb3HS2O8 after structural relaxation.

Cell: 15.534 5.983 10.340 Å, 90.00 102.11 90.00°
Space group Cc (No. 9)
Unique sites:
Rb1 0.000 0.225 0.000
Rb2 0.118 0.272 0.696
Rb3 0.314 0.257 0.098
H1 0.308 0.035 0.359
S1 0.192 0.223 0.384
S2 0.424 0.216 0.813
O1 0.158 0.027 0.444
O2 0.159 0.233 0.240
O3 0.182 0.434 0.452
O4 0.296 0.188 0.406
O5 0.325 0.170 0.796
O6 0.436 0.429 0.745
O7 0.462 0.231 0.957
O8 0.463 0.025 0.753

## Properties
Magnetic moment ... 0.000 μB per atom
Uncorrected energy ... -78.26 eV per formula unit
Energy with MP2020 corrections ... -83.76 eV per formula unit

***

(8)
A plane-wave DFT calculation with GGA-PBE was carried out for Rb3HS2O8 after structural relaxation.

Cell: 20.398 11.696 8.602 Å, 90.00 112.41 90.00°
Space group C2/m (No. 12)
Unique sites:
Rb1 0.000 0.231 0.000
Rb2 0.097 0.239 0.591
Rb3 0.133 0.500 0.890
Rb4 0.144 0.000 0.929
Rb5 0.235 0.000 0.478
Result =
(1)
A plane-wave DFT calculation with GGA-PBE was carried out for RbHO after structural relaxation.

Cell: 4.268 4.221 5.992 Å, 90.00 106.58 90.00°
Space group P2_1 (No. 4)
Unique sites:
Rb1 0.162 0.000 0.284
H1 0.439 0.131 0.913
O1 0.342 0.986 0.782

## Properties
Uncorrected energy ... -13.17 eV per formula unit
Energy with MP2020 corrections ... -13.86 eV per formula unit
Piezoelectric modulus e_max ... 0.2 C/m2

***

(2)
A plane-wave DFT calculation with GGA-PBE was carried out for RbHO after structural relaxation.

Cell: 4.241 11.543 4.193 Å, 90.00 90.00 90.00°
Space group Cmc2_1 (No. 36)
Unique sites:
Rb1 0.000 0.142 0.000
H1 0.000 0.457 0.876
O1 0.000 0.390 0.018

## Properties
Uncorrected energy ... -13.17 eV per formula unit
Energy with MP2020 corrections ... -13.86 eV per formula unit
Piezoelectric modulus e_max ... 0.5 C/m2

***

(3)
A plane-wave DFT calculation with GGA-PBE was carried out for RbHO after structural relaxation.

Cell: 4.206 4.273 6.143 Å, 90.00 104.99 90.00°
Space group P2_1/m (No. 11)
Unique sites:
Rb1 0.170 0.250 0.288
H1 0.463 0.250 0.908
O1 0.322 0.250 0.755

## Properties
Uncorrected energy ... -13.15 eV per formula unit
Energy with MP2020 corrections ... -13.84 eV per formula unit

***

(4)
A plane-wave DFT calculation with GGA-PBE was carried out for RbH3S2O8 after structural relaxation.

Cell: 7.514 12.650 8.010 Å, 90.00 92.17 90.00°
Space group P2_1/c (No. 14)
Unique sites:
Rb1 0.215 0.067 0.158
H1 0.119 0.746 0.620
H2 0.331 0.544 0.109
H3 0.487 0.660 0.773
S1 0.238 0.111 0.668
S2 0.266 0.695 0.336
O1 0.098 0.073 0.770
O2 0.099 0.699 0.209
O3 0.192 0.653 0.489
O4 0.207 0.203 0.565
O5 0.296 0.022 0.542
O6 0.333 0.696 0.858
O7 0.398 0.624 0.263
O8 0.404 0.126 0.788

## Properties
Magnetic moment ... 0.000 μB per atom
Uncorrected energy ... -78.13 eV per formula unit
Energy with MP2020 corrections ... -83.63 eV per formula unit

***

(5)
A plane-wave DFT calculation with GGA-PBE was carried out for RbHS2O7 after structural relaxation.

Cell: 7.471 11.186 8.735 Å, 90.00 107.42 90.00°
Space group P2_1/c (No. 14)
Unique sites:
Rb1 0.156 0.201 0.033
H1 0.396 0.548 0.208
S1 0.182 0.557 0.891
S2 0.414 0.596 0.677
O1 0.023 0.625 0.795
O2 0.186 0.069 0.352
O3 0.235 0.586 0.062
O4 0.241 0.594 0.549
O5 0.375 0.619 0.846
O6 0.441 0.180 0.822
O7 0.490 0.034 0.191

## Properties
Magnetic moment ... 0.000 μB per atom
Uncorrected energy ... -63.01 eV per formula unit
Energy with MP2020 corrections ... -67.82 eV per formula unit

***

(6)
A plane-wave DFT calculation with GGA-PBE was carried out for Rb3HS2O8 after structural relaxation.

Cell: 15.524 6.011 10.330 Å, 90.00 102.49 90.00°
Space group C2/c (No. 15)
Unique sites:
Rb1 0.000 0.244 0.250
Rb2 0.190 0.223 0.652
H1 0.000 0.500 0.000
S1 0.115 0.283 0.965
O1 0.014 0.327 0.946
O2 0.125 0.072 0.897
O3 0.152 0.269 0.110
O4 0.153 0.475 0.905

## Properties
Magnetic moment ... 0.016 μB per atom
Uncorrected energy ... -78.26 eV per formula unit
Energy with MP2020 corrections ... -83.76 eV per formula unit

***

(7)
A plane-wave DFT calculation with GGA-PBE was carried out for Rb3HS2O8 after structural relaxation.

Cell: 15.534 5.983 10.340 Å, 90.00 102.11 90.00°
Space group Cc (No. 9)
Unique sites:
Rb1 0.000 0.225 0.000
Rb2 0.118 0.272 0.696
Rb3 0.314 0.257 0.098
H1 0.308 0.035 0.359
S1 0.192 0.223 0.384
S2 0.424 0.216 0.813
O1 0.158 0.027 0.444
O2 0.159 0.233 0.240
O3 0.182 0.434 0.452
O4 0.296 0.188 0.406
O5 0.325 0.170 0.796
O6 0.436 0.429 0.745
O7 0.462 0.231 0.957
O8 0.463 0.025 0.753

## Properties
Magnetic moment ... 0.000 μB per atom
Uncorrected energy ... -78.26 eV per formula unit
Energy with MP2020 corrections ... -83.76 eV per formula unit

***

(8)
A plane-wave DFT calculation with GGA-PBE was carried out for Rb3HS2O8 after structural relaxation.

Cell: 20.398 11.696 8.602 Å, 90.00 112.41 90.00°
Space group C2/m (No. 12)
Unique sites:
Rb1 0.000 0.231 0.000
Rb2 0.097 0.239 0.591
Rb3 0.133 0.500 0.890
Rb4 0.144 0.000 0.929
Rb5 0.235 0.000 0.478